Input:
/*
Molecular formula: C39H35FInN5OTe2
Method: DFT, wB97M-V/def2-TZVPD

Summary:
energy relative to the best compared isomer or geometry (same formula, charge and spin) = 65.9 kJ/mol
2S+1 = 1
molar mass = 978.8 g/mol
electronic energy = -72985.20422 eV
orbital gap = 5.9 eV
HOMO = -7.820 eV
F_max = 0.0871 hartree/bohr

Each line ends with the Mulliken charge.
Geometry (Å):
In: -0.11853 -0.89653 -0.62634  1.145
N: 6.23043 7.13005 -0.40604  -0.514
C: 5.56152 6.18139 -0.26295  -0.005
C: 4.80371 5.05816 0.03527  0.488
C: 5.27243 3.74971 -0.00911  -0.694
C: 4.36207 2.68188 -0.06629  -0.201
C: 2.99802 2.88501 -0.09052  0.009
C: 2.54367 4.21166 0.01192  -0.692
C: 3.41979 5.23004 0.07833  -0.766
C: 1.98193 1.77436 -0.16192  0.806
C: 2.09984 0.78446 0.82229  0.415
C: 3.12893 0.62024 1.82143  -0.565
C: 2.78652 -0.50764 2.62706  -1.272
C: 1.71480 -1.08839 1.98910  -0.385
N: 1.30922 -0.34564 0.90590  -0.153
C: 0.86833 1.94350 -1.01543  0.231
C: 0.65453 3.11963 -1.87969  -0.449
C: -0.61489 2.98395 -2.47741  -1.039
C: -1.19462 1.78228 -1.99919  -0.460
N: -0.29529 1.11211 -1.19048  -0.152
H: 6.37467 3.58813 0.00978  0.363
H: 4.77560 1.64866 -0.04823  0.560
H: 1.44672 4.43976 0.02167  0.702
H: 3.09679 6.21910 0.36689  0.390
H: 3.86224 1.39208 2.10285  0.472
H: 3.22726 -0.84221 3.52960  0.475
H: 1.24810 -1.99068 2.23881  0.683
H: 1.26826 4.02375 -1.93361  0.734
H: -1.07274 3.69196 -3.19571  0.415
H: -2.23199 1.41907 -2.05154  0.588
N: 2.91102 -7.26108 1.61557  -0.362
C: 1.63049 -7.76119 1.59687  0.102
O: 1.33670 -8.92943 1.60953  -0.600
C: 0.65835 -6.62794 1.61064  0.227
C: -0.69444 -6.84709 1.45858  -0.180
C: -1.62660 -5.83441 1.43677  -0.632
C: -1.20494 -4.49697 1.50791  -0.321
N: 0.08225 -4.27267 1.77613  -0.268
C: 0.94802 -5.29044 1.82927  -0.224
H: 3.59814 -7.99185 1.56493  0.261
H: 3.10880 -6.37974 1.15326  0.215
H: -1.03361 -7.87251 1.33942  0.431
H: -2.70083 -6.03735 1.30080  0.361
H: -1.82695 -3.62474 1.36877  0.467
H: 1.96905 -5.02019 2.13938  0.476
C: -3.96042 1.74291 3.30906  -1.348
Te: -4.04674 3.62940 2.04415  0.140
C: -4.70790 4.34445 3.96907  -1.097
C: -4.84496 3.33009 5.07563  0.664
C: -5.25515 3.61678 6.38204  -0.620
C: -5.24251 2.63685 7.35506  -0.380
C: -4.82208 1.31120 7.06195  -0.591
C: -4.41970 1.04455 5.72587  -0.386
C: -4.39142 2.03242 4.74261  0.515
H: -2.94194 1.42328 3.23503  0.459
H: -4.69185 1.14827 2.80235  0.462
H: -5.64432 4.87254 3.80023  0.398
H: -3.92495 5.15710 4.19093  0.332
H: -5.51952 4.64338 6.65456  0.369
H: -5.39206 2.99101 8.34839  0.372
H: -4.85873 0.49232 7.84220  0.319
H: -4.01851 0.04905 5.56322  0.393
F: -1.78894 -1.42412 0.37092  -0.717
C: -0.27598 0.68825 -7.71700  -1.343
C: 0.00088 -0.17013 -6.48628  0.503
C: 1.17321 -0.12579 -5.79893  -0.871
C: 1.39456 -0.93975 -4.63572  1.171
C: 2.66913 -0.75212 -3.83214  -1.525
C: 0.41358 -1.84801 -4.23924  -0.431
Te: 0.67323 -2.97983 -2.28276  -0.088
C: -0.84021 -1.89092 -4.87518  0.917
C: -1.95293 -2.85016 -4.43337  -1.506
C: -1.02712 -0.95714 -5.89866  -0.945
H: 0.22628 1.69597 -7.66780  0.337
H: -1.30148 0.89587 -7.74127  0.427
H: 0.14231 0.17320 -8.64324  0.261
H: 1.93972 0.49363 -6.18949  0.417
H: 3.14020 0.22448 -4.17809  0.323
H: 3.38531 -1.49564 -4.13497  0.398
H: 2.54290 -0.81660 -2.75890  0.171
H: -2.26327 -2.48481 -3.47469  0.319
H: -1.58065 -3.85547 -4.26078  0.356
H: -2.71575 -2.88895 -5.20172  0.406
H: -1.93499 -0.90980 -6.47732  0.337

***

Molecular formula: C7H12
Method: DFT, wB97M-V/def2-TZVPD

Summary:
energy relative to the best compared isomer or geometry (same formula, charge and spin) = 166.3 kJ/mol
2S+1 = 1
molar mass = 96.2 g/mol
electronic energy = -7451.70775 eV
orbital gap = 9.2 eV
HOMO = -8.214 eV
F_max = 0.0259 hartree/bohr

Each line ends with the Mulliken charge.
Geometry (Å):
C: -1.21505 2.63679 -0.62137  -0.757
C: -0.27270 1.74502 -0.94452  -0.513
C: -0.01354 0.47661 -0.24136  0.594
C: -0.19730 0.37088 1.07869  -0.106
C: 0.22272 -0.67087 2.05761  -1.380
C: 0.68284 -0.57779 -1.10664  -0.302
C: 0.55072 -2.03757 -0.68758  -1.374
*/
Activity:
It remains to write out the part of the lines above that starts with the line with "0.41358 -1.84801" and stops after the one with "0.917".
Response:
C: 0.41358 -1.84801 -4.23924  -0.431
Te: 0.67323 -2.97983 -2.28276  -0.088
C: -0.84021 -1.89092 -4.87518  0.917